• To do:
The reader should work out how many lines below have the word "Pa" in them; a number is enough.

• Input:
- - -
{"formula": "MnZn10B8Rh18", "functional": "GGA-PBE", "state": "relaxed", "delta_e_f_ev_per_atom": -0.404, "vol_a3_per_cell": 927.8, "sg": "P4/mbm", "lattice_angstrom": [[17.923, 0.000, 0.000], [0.000, 17.923, 0.000], [0.000, 0.000, 2.888]], "species": ["Rh", "Zn", "Zn", "B", "Zn", "Mn", "Rh", "Rh", "Rh", "Zn", "Rh", "Rh", "Rh", "Zn", "Zn", "Rh", "Rh", "B", "B", "Rh", "Zn", "Rh", "Rh", "Rh", "Rh", "Zn", "Rh", "Rh", "B", "Zn", "B", "Rh", "Rh", "Rh", "Rh", "B", "Rh", "Rh", "Rh", "Rh", "Zn", "Zn", "Zn", "B", "Rh", "B", "Rh", "Rh", "Rh", "Zn", "B", "B", "Zn", "B", "Rh", "Zn", "B", "Zn", "Rh", "Zn", "Rh", "B", "Rh", "Zn", "Zn", "B", "Zn", "Rh", "B", "Rh", "Mn", "Rh", "Rh", "B"], "fractional_positions": [[0.452, 0.826, 0.500], [0.550, 0.050, 0.000], [0.669, 0.169, 0.000], [0.039, 0.666, 0.000], [0.831, 0.669, 0.000], [0.000, 0.000, 0.000], [0.418, 0.082, 0.500], [0.600, 0.432, 0.500], [0.918, 0.418, 0.500], [0.331, 0.831, 0.000], [0.952, 0.674, 0.500], [0.582, 0.918, 0.500], [0.244, 0.588, 0.500], [0.813, 0.032, 0.000], [0.532, 0.313, 0.000], [0.744, 0.912, 0.500], [0.826, 0.548, 0.500], [0.461, 0.166, 0.000], [0.667, 0.375, 0.000], [0.256, 0.088, 0.500], [0.210, 0.710, 0.000], [0.088, 0.744, 0.500], [0.588, 0.756, 0.500], [0.100, 0.068, 0.500], [0.326, 0.952, 0.500], [0.710, 0.790, 0.000], [0.082, 0.582, 0.500], [0.548, 0.174, 0.500], [0.333, 0.625, 0.000], [0.290, 0.210, 0.000], [0.834, 0.461, 0.000], [0.412, 0.244, 0.500], [0.160, 0.211, 0.500], [0.432, 0.400, 0.500], [0.289, 0.340, 0.500], [0.334, 0.039, 0.000], [0.756, 0.412, 0.500], [0.840, 0.789, 0.500], [0.789, 0.160, 0.500], [0.048, 0.326, 0.500], [0.968, 0.813, 0.000], [0.687, 0.532, 0.000], [0.468, 0.687, 0.000], [0.375, 0.333, 0.000], [0.068, 0.900, 0.500], [0.167, 0.125, 0.000], [0.174, 0.452, 0.500], [0.400, 0.568, 0.500], [0.568, 0.600, 0.500], [0.950, 0.550, 0.000], [0.961, 0.334, 0.000], [0.125, 0.833, 0.000], [0.187, 0.968, 0.000], [0.166, 0.539, 0.000], [0.674, 0.048, 0.500], [0.169, 0.331, 0.000], [0.625, 0.667, 0.000], [0.450, 0.950, 0.000], [0.211, 0.840, 0.500], [0.313, 0.468, 0.000], [0.912, 0.256, 0.500], [0.833, 0.875, 0.000], [0.711, 0.660, 0.500], [0.032, 0.187, 0.000], [0.050, 0.450, 0.000], [0.666, 0.961, 0.000], [0.790, 0.290, 0.000], [0.340, 0.711, 0.500], [0.875, 0.167, 0.000], [0.900, 0.932, 0.500], [0.500, 0.500, 0.000], [0.932, 0.100, 0.500], [0.660, 0.289, 0.500], [0.539, 0.834, 0.000]]}

{"formula": "PaAlV2", "functional": "GGA-PBE", "state": "relaxed", "delta_e_f_ev_per_atom": -0.107, "vol_a3_per_cell": 65.1, "sg": "Fm-3m", "lattice_angstrom": [[2.960, -3.041, 1.539], [-0.379, -4.332, -1.211], [3.022, -1.831, -2.810]], "species": ["V", "V", "Pa", "Al"], "fractional_positions": [[0.500, 0.500, 0.500], [0.000, 0.000, 0.000], [0.750, 0.750, 0.750], [0.250, 0.250, 0.250]]}
- - -

• Worked solution:
1